Smart Gloves For Blind
Smart Gloves For Blind
Smart Gloves For Blind
© 2017, IRJET | Impact Factor value: 6.171 | ISO 9001:2008 Certified Journal | Page 1025
International Research Journal of Engineering and Technology (IRJET) e-ISSN: 2395-0056
Volume: 04 Issue: 12 | Dec-2017 p-ISSN: 2395-0072
© 2017, IRJET | Impact Factor value: 6.171 | ISO 9001:2008 Certified Journal | Page 1026
International Research Journal of Engineering and Technology (IRJET) e-ISSN: 2395-0056
Volume: 04 Issue: 12 | Dec-2017 p-ISSN: 2395-0072
3.4 SYSTEM REQUIREMENT paper, where only one gyroscope value is used. A Markov
model is constructed using segmentation of gyroscope
Software: outputs instead of using gyroscope outputs directly, which
makes the zero velocity detection more reliable.
There are two main software used in developing this project
which are Arduino software and Fritzing software. Arduino Ultrasonic Sensor HC-SR04
software used to write the program using C language and
Arduino language. It is used to compile and install the This type of ultrasonic sensor has an ability to determine the
Someone pasted calculated crystals at this point.
-- begin --
1.
A plane-wave DFT calculation with meta-GGA SCAN was carried out for a crystal of Ca2NbPbSe relaxed with PBEsol.

Summary:
- Formation energy without anion corrections: 0.4707 eV per atom

a b c (Å): 5.3050 5.4467 5.4467
angles (deg): 90.00 90.00 90.00
Fractional positions:
1 Pb 0.5000 0.0000 0.0000
2 Nb 0.0000 0.0000 0.0000
3 Ca 0.0000 0.0000 0.5000
4 Ca 0.0000 0.5000 0.0000
5 Se 0.5000 0.5000 0.5000

=====

2.
A plane-wave DFT calculation with meta-GGA SCAN was carried out for a crystal of CaNbSb2Pt relaxed with PBEsol.

Summary:
- Formation energy without anion corrections: 1.7572 eV per atom

a b c (Å): 4.6139 5.2870 5.2870
angles (deg): 90.00 90.00 90.00
Fractional positions:
1 Sb 0.0000 0.0000 0.5000
2 Sb 0.0000 0.5000 0.0000
3 Nb 0.5000 0.0000 0.0000
4 Ca 0.0000 0.0000 0.0000
5 Pt 0.5000 0.5000 0.5000

=====

3.
A plane-wave DFT calculation with meta-GGA SCAN was carried out for a crystal of RbCa2Nb relaxed with PBEsol.

Summary:
- ΔE_f: 860 meV per atom

a b c (Å): 5.8345 5.8345 5.8345
angles (deg): 60.00 60.00 60.00
Fractional positions:
1 Nb 0.5000 0.5000 0.5000
2 Ca 0.2500 0.2500 0.2500
3 Ca 0.7500 0.7500 0.7500
4 Rb 0.0000 0.0000 0.0000

=====

What E values result from the calculations? In sequence: -29.1925, -35.7443, -17.4388 eV/atom.
What N(E_F) values result from the calculations? In sequence: 4.79, 3.90, 3.33 states/eV/cell.
-- stop --
program into the microcontroller. It also has the function to distance of objects with high accuracy and provide stable
monitor the distance between obstacle and ultrasonic reading of data. The sensor widely used for the blind because
sensor. It will display the value of distance and make the it does not affected by environmental noise. It works by
project easier to be tested. transmitting an ultrasonic burst and provide output pulse
which correspond to the time required for the burst echo to
Fritzing software is used to design the circuit connection of return to the sensor. The distance to the target or objects can
all the hardware. Since all the hardware will have their own be calculated by measuring the echo pulse width.
library, Fritzing software is a suitable software to be used in
this project as it will help in showing the circuit connection Arduino UNO
and the schematic of the system.Besides that, SolidWorks
also used to design structure of frame which is used to hold Arduino Uno is the main part of this project which it act as
the position of ultrasonic sensors. microcontroller. Since the price is very cheap and easy to
use, it is very good for the development of new products or
interesting projects. Coming with 14 digital pin, 6 analog pin,
16 MHz crystal oscillator and USB connection, it is suitable to
There are six main hardware in this projects.
be used as a microcontroller. Based on ATmega328, this
1. Ultrasonic Sensor microcontroller board can simply connect to computer using
2. Sensor Position USB cable or using adapter to connect with battery to get
3. Arduino UNO started.
4. Switch
5. USB to TTL Converter Adapter
6. Servo Vibrator Motor
7. Jumper Wires
© 2017, IRJET | Impact Factor value: 6.171 | ISO 9001:2008 Certified Journal | Page 1027
International Research Journal of Engineering and Technology (IRJET) e-ISSN: 2395-0056
Volume: 04 Issue: 12 | Dec-2017 p-ISSN: 2395-0072
Figure 4.1 and 4.2 both shows the Arduino and the pin ACKNOWLEDGEMENT
structure while Figure 4.2 shows the complete schematic
diagram of Arduino UNO including the integrated circuit and I would like to take the opportunity to express our heartfelt
all the other components. gratitude to the people whose help and co-ordination has
made this seminar a success. I thank Miss. TRUPTI KINI for
In this project, Arduino UNO was powered with 9V battery knowledge, guidance and co-operation in the process of
which is in the range of recommended voltage. Although the making this project. I owe Seminar success to our guide and
board can operate at 6V up to 20V, if the supplied voltage is convey our thanks to them. We would like to express our
less than 7V, the 5V pin may supply less power resulting heartfelt to our HOD Miss. Trupti Kini and all the teachers
unstable condition for the board. Besides, if the supplied and staff members of Computer Engineering Department for
voltage more than 12V, the voltage regulator will overheat their full support. We would like to thank our principal for
and the board will damage. conductive environment in the institution. We are also
grateful to the library staff of Ideal Institute of Technology
Servo Motor: for the numerous books, magazines made available for
handy reference and use of internet facility. Lastly, we are
Servo motors are great devices that can turn to a specified also indebted to all those who have indirectly contributed in
position. Usually, they have a servo arm that can turn 180 making this Seminar successfully.
degrees. Using the Arduino, we can tell a servo to go to a
specified position and it will go there. Servo motors were REFERENCES
first used in the Remote Control (RC) world, usually to
control the steering of RC cars or the flaps on a RC plane.
[1] A Low Cost Smart Glove for Visually Impaired People
With time, they found their uses in robotics, automation, and
Mobility by Giuseppe Bernieri Luca Faramondi and
of course, the Arduino world.
Federica Pascucci.
Here we will see how to connect a servo motor and then how [2] Vol. 4, Issue 1, January 2015 Copyright to IJARCCE DOI
to turn it to different positions. . /IJARCCE. . Voice based email system for
blinds by T.Shabana , A.Anam, A.Rafiya, K.Aisha.
Smart glove for the blind project is to help blind people walk
and estimate the distance from obstacles. Main component
for this project are Arduino UNO, Vibrator motor and
ultrasonic sensor. Based on the experiment that have been
conducted, there are few advantages and limitations of this
project. One of the advantages of this project was the use of
ultrasonic sensor. This sensor was very sensitive and will
trigger faster when it detect obstacles. Besides that, the cost
to develop this project was low and can be afforded by blind
people. The limitation of this project was the ultrasonic
sensor used can only detect the obstacles but cannot
illustrate the shape of the obstacles. Furthermore, this
assistive glove can only be used by blind people but not the
blind and deaf people. Future improvement can be made to
increase the performance of this project.
© 2017, IRJET | Impact Factor value: 6.171 | ISO 9001:2008 Certified Journal | Page 1028